
Human beings are inevitably exposed to radiation from background sources. Radionuclides present in the Earth´s crust contribute to the population radiation exposure. According to the United Nations Scientific Committee on the Effects of Atomic Radiation, this contribution corresponds to 20 % of the average worldwide radiation exposure (2.4 mSv year−1) [1].

Knowledge of radioactivity levels in buildings is clearly of fundamental importance to the assessment of people exposure, since most of individuals spend most time indoors [1]. It is well known that most building materials contain traces of natural radionuclides. Materials derived from rock and soils contain mainly natural radionuclides of the uranium (238U) and thorium (232Th) series and the radioactive isotope of potassium (40K). In the uranium series, the decay chain segment starting from radium (226Ra) is of radiological concern and, therefore, reference is often made to radium instead of uranium. The worldwide average concentrations of radium, thorium and potassium in the earth’s crust are about 35, 35 and 400 Bq kg−1, respectively [1]. Exposure in dwellings depends on the concentration of building materials and soil down building. Building materials are an important source of indoor gamma exposure, especially in multistoried buildings, where the contribution of the soil radionuclides to the dwellers exposure is lower than at story houses.

Radiological hazard of natural radioactivity in building materials can be assessed through the hazard estimating models, such as radium equivalent activity (Raeq) and activity concentration index (I) [2, 3].

The aim of this study is to determine the activity concentrations of 226Ra, 232Th and 40K in materials and construction products used in the construction of a multistoried building in Peruíbe, São Paulo, Brazil (Fig. 1) by high-resolution gamma-ray spectrometry. These results were used to evaluate the activity concentration index (I) and the annual effective dose due to external gamma exposure for dwellers in order estimate the exposure risk arising due to the use of these materials.

Fig. 1
figure 1

Peruíbe, State of São Paulo, Brazil


A total of 25 samples of building materials (red brick, cement, grout, clay brick and sand) were crushed and packed in 100 mL polyethylene flask and sealed for about 4 weeks prior to the measurement in order to ensure that the secular equilibrium has been reached between 226Ra and its short half-life decay products. It were analyzed five samples of each type of building material used in the construction of a multistoried residential building at Peruíbe, State of São Paulo, Brazil.

Activity concentrations of 226Ra, 232Th, and 40K in the samples of building materials were measured by gamma-ray spectrometry with a hyperpure germanium detector Canberra model GX2518 associated to a DSA1000 electronic module, comprising high voltage supplier and multichannel analyzer. The relative efficiency of the detector is 25 % and the effective energy resolution for the 1.33 MeV 60Co gamma transition is 1.9 keV. The detection efficiency curve was calculated for aqueous solutions containing certified activity concentrations of gamma-ray emitters covering a wide range of energies, encompassing the radionuclides energies determined in the samples. Background measurements were taken and subtracted in order to get net counts for the sample. Samples were measured during an accumulation time of 86,000 s. All spectra were analyzed with the Interwinner 4.0 of Eurisys Measurements Incorporation software for personal computer analysis of gamma-ray spectra from HPGe detectors. The activity concentration of 40K was determined directly by its own gamma-ray peak at 1460.8 keV, while concentrations of 226Ra and 232Th were calculated based on the weighted mean value of their respective decay products in equilibrium. The activity concentration of 226Ra was determined using the 295.2 and 351.9 keV gamma rays from 214Pb and the 609.3 and 1120.3 keV from 214Bi. The activity concentration of 232Th was determined using the 338.5, 911.1 and 968.9 keV photopeaks from 228Ac and the 727.2 keV photopeak from 212Bi [2].

Results and discussion

Activity concentration of radionuclides

Building materials samples were analyzed for 226Ra, 232Th and 40K activity concentrations. Table 1 presents the average results of concentrations and respective standard deviations, as well as the range of literature values [48] for the similar materials. Samples were collected and analyzed in triplicate.

Table 1 Activity concentration of 226Ra, 232Th and 40K in building materials

Radiological parameters

Since the distribution of natural radionuclides in building materials is not uniform, a common radiological index, called Radium Equivalent Activity (Raeq), had been introduced to represent the specific radioactivity level of 226Ra, 232Th and 40K by a common index, which takes into account the radiation hazards associated with them [3, 9].

The radium equivalent activity was calculated based on the estimation that 1 Bq kg−1 of 226Ra, 0.7 Bq kg−1 of 232Th and 13 Bq kg−1 of 40K produce the same external gamma-ray dose rate.

$${\text{Ra}}_{\text{eq}} = {\kern 1pt} \,C_{\text{Ra}} \, + \,1.43{\kern 1pt} \,C_{\text{Th}} \, + \,0.07\,{\kern 1pt} C_{\text{K}}$$

where C Ra, C Th and C K are the activity concentrations of 226Ra, 232Th and 40K, respectively in Bq kg−1.

The activity concentration index (I) was calculated as suggested by the European Commission [10]:

$$I\, = \,{\kern 1pt} \,\frac{{_{{C_{\text{Ra}} }} }}{300}\; + \;\frac{{C_{\text{Th}} }}{200}\; + \;\frac{{C_{\text{K}} }}{3000}\,$$

where C Ra, C Th and C K are the activity concentrations of 226Ra, 232Th and 40K, respectively in Bq kg−1.

According to the European Commission recommendations, for materials used in bulk amounts (e.g. concrete), the activity concentration index (I) must be less than 1 and for superficial and other materials with restricted use, I must be less than 6 to keep the annual effective dose due to external exposure below 1 mSv year−1.

The indoor effective dose for external exposure due to building materials was performed following UNSCEAR procedures through the standard room concept, according to equation [1, 10]:

$$E = T\;f\;b\;10^{ - 6} \;D_{\text{R}} \;m$$

where E is the effective dose for external exposure, T is 8760 h per year, f is the fraction on time spent indoors (0.8), b is the conversion factor of absorbed dose in air to effective dose (0.7 Sv Gy−1), D R is gamma absorbed dose rate in air due to gamma ray emission from the natural radionuclides in the building material and m is the mass fraction of the building material in the standard room.

The gamma absorbed dose rate in air (D R) due to gamma ray emission from the natural radionuclides in the building materials is evaluated according the following equation [1]:

$$D_{\text{R}} = {\kern 1pt} \,q_{\text{Ra}} C_{\text{Ra}} \, + \,q_{\text{Th}} {\kern 1pt} C_{\text{Th}} \, + \,\,q_{\text{K}} {\kern 1pt} C_{\text{K}}$$

where q Ra, q Th and q K are conversion factors from activity concentration of 226Ra, 232Th and 40K, respectively to absorbed dose in indoor air (nGy h−1 per Bq kg−1) C Ra, C Th and C K are the activity concentration of 226Ra, 232Th and 40K, respectively in Bq kg−1.

Misplaced calculated molecules:
- - -
{"formula": "C23H57ClN3O9P2", "method": "ωB97M-V with the def2-TZVPD basis set", "fmax_ev_per_a": 1.129, "total_charge": 1, "e_tot_ha": -2894.47782, "multiplicity": 1, "gap_ev": 5.697, "symbols": ["C", "C", "C", "O", "O", "C", "C", "P", "P", "O", "Cl", "H", "H", "H", "H", "H", "H", "H", "H", "H", "H", "H", "H", "C", "O", "C", "C", "N", "C", "C", "O", "C", "H", "H", "H", "H", "H", "H", "H", "H", "H", "H", "H", "H", "H", "H", "H", "C", "O", "C", "C", "N", "C", "C", "O", "C", "H", "H", "H", "H", "H", "H", "H", "H", "H", "H", "H", "H", "H", "H", "H", "C", "O", "C", "C", "N", "C", "C", "O", "C", "H", "H", "H", "H", "H", "H", "H", "H", "H", "H", "H", "H", "H", "H", "H"], "positions_angstrom": [[-4.535, -0.778, -3.132], [-4.384, -2.098, -3.935], [-4.756, -1.912, -5.369], [-5.822, -2.114, -5.836], [-3.742, -1.389, -6.172], [-3.398, -2.210, -7.269], [-2.766, -3.556, -6.831], [-1.418, -4.053, -7.911], [0.564, -2.922, -7.644], [-0.100, -1.454, -7.790], [0.513, -3.167, -5.637], [-5.037, 0.004, -3.712], [-5.099, -0.963, -2.210], [-3.549, -0.407, -2.826], [-3.357, -2.475, -3.825], [-5.060, -2.872, -3.543], [-4.286, -2.399, -7.887], [-2.688, -1.621, -7.867], [-3.503, -4.370, -6.780], [-2.291, -3.429, -5.842], [-1.090, -5.373, -7.604], [-1.797, -3.995, -9.253], [-0.062, -0.900, -6.990], [2.092, -0.410, 1.219], [2.620, -0.998, 0.040], [3.134, -2.309, 0.217], [2.294, -3.305, -0.550], [0.977, -3.444, 0.053], [0.024, -4.208, -0.734], [-0.425, -3.610, -2.063], [-1.179, -2.417, -1.945], [-0.408, -1.227, -1.834], [1.826, 0.617, 0.973], [1.189, -0.927, 1.560], [2.834, -0.397, 2.020], [3.168, -2.574, 1.278], [4.157, -2.327, -0.171], [2.787, -4.282, -0.542], [2.259, -2.957, -1.595], [0.596, -2.524, 0.236], [-0.872, -4.359, -0.127], [0.448, -5.200, -0.926], [-1.079, -4.340, -2.552], [0.426, -3.434, -2.736], [0.541, -1.307, -2.372], [-0.210, -0.970, -0.792], [-0.990, -0.414, -2.269], [-6.087, 1.620, 2.800], [-5.758, 1.829, 1.441], [-5.417, 3.171, 1.117], [-3.972, 3.260, 0.680], [-3.075, 3.000, 1.796], [-1.671, 2.871, 1.433], [-1.276, 1.692, 0.554], [-1.425, 0.430, 1.179], [-2.705, -0.166, 1.058], [-6.405, 0.584, 2.898], [-5.232, 1.793, 3.464], [-6.908, 2.270, 3.116], [-5.600, 3.830, 1.970], [-6.059, 3.494, 0.293], [-3.775, 4.265, 0.296], [-3.837, 2.552, -0.152], [-3.374, 2.154, 2.265], [-1.091, 2.803, 2.356], [-1.358, 3.792, 0.930], [-0.210, 1.792, 0.328], [-1.805, 1.697, -0.408], [-3.190, 0.118, 0.120], [-3.366, 0.094, 1.889], [-2.564, -1.247, 1.068], [3.706, 4.663, 6.265], [4.869, 4.722, 5.467], [6.059, 4.306, 6.128], [6.614, 3.055, 5.487], [5.739, 1.917, 5.728], [6.089, 0.709, 4.995], [5.988, 0.745, 3.475], [4.664, 0.886, 2.989], [4.201, 2.216, 2.852], [2.891, 5.081, 5.676], [3.449, 3.636, 6.550], [3.818, 5.257, 7.178], [5.866, 4.138, 7.191], [6.795, 5.110, 6.038], [7.598, 2.841, 5.916], [6.757, 3.267, 4.418], [4.790, 2.183, 5.493], [5.439, -0.095, 5.350], [7.114, 0.428, 5.261], [6.346, -0.216, 3.098], [6.630, 1.518, 3.035], [5.019, 2.902, 2.616], [3.691, 2.576, 3.750], [3.485, 2.230, 2.029]], "mulliken_charge": [-0.88, 0.69, 0.20, -0.53, -0.36, -0.74, 0.17, 0.08, 0.31, -0.43, -0.02, 0.43, 0.32, 0.00, -0.48, 0.39, 0.36, 0.48, 0.45, -0.22, 0.18, 0.21, 0.36, -0.24, -0.40, -0.88, -0.11, -0.20, -1.08, -0.09, -0.13, -0.37, -0.18, 0.33, 0.30, 0.38, 0.43, 0.44, 0.10, -0.05, 0.39, 0.46, 0.31, 0.07, 0.27, -0.11, 0.35, -0.77, -0.33, -0.81, -0.10, -0.29, -1.21, -0.08, -0.35, -0.71, 0.24, 0.32, 0.36, 0.41, 0.40, 0.39, 0.06, 0.14, 0.39, 0.48, 0.36, 0.26, 0.26, 0.27, 0.32, -0.74, -0.35, -0.80, -0.21, -0.30, -0.77, -0.55, -0.25, -0.69, 0.24, 0.31, 0.36, 0.40, 0.39, 0.39, 0.18, 0.10, 0.38, 0.41, 0.36, 0.34, 0.34, 0.25, 0.22]}
- - -
End of the calculated molecules:

The choice of the conversion factors from activity concentration to absorbed dose is the most important factor for evaluating the external dose from building materials. The gamma radiation from walls is strongly dependent upon wall thickness and density of building material, so it is useful to adopt the standard room concept to estimate the dose.

The q i values take into account the gamma transitions of 40K and of 226Ra and 232Th respective decay series, the wall thickness of the studied house and the density of building materials. In this work, values of q Ra, q Th and q K reported by European Commission [11] were used.

The calculations were performed considering an average of 50 nGy h−1 for the background [11].

Table 2 shows values of radiological hazard index and effective dose for external exposure.

Table 2 The calculated value of radiological hazard index and effective dose for gamma external exposure

The effective dose for external exposure due to building materials for dwellers in a residential building at Peruíbe, São Paulo, Brazil is 0.8 mSv year−1.


The activity concentrations of 226Ra, 232Th and 40K were measured by gamma ray spectrometry in building materials used for the construction of multistoried residential building in the cost of Peruíbe, State of São Paulo, Brazil. The results show that the building materials analyzed present activity concentration within the range of average world values, except for clay bricks and sand. The activity concentrations of 226Ra and 40K for clay brick and 232Th for sand are higher than the average world. Values of radium equivalent activity calculated for all the building materials measured are lower than the recommended maximum level of 370 Bq kg−1. Applying dose criteria recommended by the European Commission for building materials, four structural building materials meet the activity concentration index (I) less than 1 and only sand slightly exceeds this criterion. The effective dose for dweller due to external exposure was 0.8 mSv year−1, lower than the annual dose limit for general public of 1 mSv year−1 [12]. As a conclusion, the present study shows that the building materials analyzed are within the recommended safety dose limit and do not pose any significant source of radiation hazard.